We’ve all got used to real-time inputs from social media and the convenience of online ordering, remote working, curbside pickup, and instant payment transfers from our mobile phones. Like any other piece of efficient machinery, the applications that drive many of these experiences are often hidden away from the public eye and only become visible when they fail, which is why it is critical that they do not.

In the early days, when there were only a few applications, it was common to connect them directly to each other (“point-to-point” connections). The next stage of architectural evolution was the “bus” architecture where the applications each connected to a shared information bus that was responsible for the integration between applications. This is the technology behind the world’s biggest banks, stock exchanges, insurance companies, hospitals, manufacturers, etc. However, this architectural pattern still involves a lot of complexity and requires considerable amount of investment and effort to maintain and enhance.

Crystal structures, kept here for reference >
+++
#1
An optimized crystal structure of SrLaVFeO6. Source: the Materials Project, functional PBE+U.

a = 5.530 Å, b = 5.567 Å, c = 9.630 Å
α = 90.01°, β = 106.27°, γ = 119.45°
Space group P1 (No. 1)
Inequivalent atoms, fractional coordinates:
Sr1 0.000 0.000 0.000 [1 per cell]
Sr2 0.008 0.498 0.505 [1 per cell]
La1 0.489 0.244 0.749 [1 per cell]
La2 0.498 0.747 0.245 [1 per cell]
V1 0.748 0.869 0.625 [1 per cell]
V2 0.755 0.376 0.128 [1 per cell]
Fe1 0.250 0.122 0.374 [1 per cell]
Fe2 0.251 0.622 0.877 [1 per cell]
O1 0.024 0.261 0.733 [1 per cell]
O2 0.036 0.765 0.230 [1 per cell]
O3 0.039 0.789 0.737 [1 per cell]
O4 0.063 0.295 0.237 [1 per cell]
O5 0.462 0.473 0.020 [1 per cell]
O6 0.475 0.965 0.517 [1 per cell]
O7 0.482 0.976 0.027 [1 per cell]
O8 0.491 0.469 0.530 [1 per cell]
O9 0.553 0.774 0.776 [1 per cell]
O10 0.577 0.276 0.276 [1 per cell]
O11 0.916 0.460 0.968 [1 per cell]
O12 0.930 0.957 0.465 [1 per cell]

#2
An optimized crystal structure of SrLaVFeO6. Source: the Materials Project, functional PBE+U.

a = 5.536 Å, b = 5.563 Å, c = 9.641 Å
α = 90.03°, β = 106.53°, γ = 119.81°
Space group P1 (No. 1)
Inequivalent atoms, fractional coordinates:
Sr1 0.000 0.000 0.000 [1 per cell]
Sr2 0.000 0.499 0.502 [1 per cell]
La1 0.496 0.239 0.755 [1 per cell]
La2 0.500 0.752 0.248 [1 per cell]
V1 0.250 0.624 0.876 [1 per cell]
V2 0.251 0.126 0.377 [1 per cell]
Fe1 0.748 0.872 0.624 [1 per cell]
Fe2 0.753 0.377 0.129 [1 per cell]
O1 0.002 0.251 0.753 [1 per cell]
O2 0.003 0.000 0.499 [1 per cell]
O3 0.006 0.249 0.254 [1 per cell]
O4 0.006 0.758 0.253 [1 per cell]
O5 0.009 0.752 0.753 [1 per cell]
O6 0.011 0.506 0.002 [1 per cell]
O7 0.495 0.000 0.499 [1 per cell]
O8 0.495 0.751 0.753 [1 per cell]
O9 0.496 0.491 0.501 [1 per cell]
O10 0.498 0.249 0.255 [1 per cell]
O11 0.498 0.506 0.002 [1 per cell]
O12 0.501 0.002 0.999 [1 per cell]

Least stable: #1

#1
An optimized crystal structure of SrLaVFeO6. Source: the Materials Project, functional PBE+U.

a = 5.538 Å, b = 5.538 Å, c = 23.790 Å
α = 90.00°, β = 90.00°, γ = 90.00°
Space group I-4m2 (No. 119)
Inequivalent atoms, fractional coordinates:
Sr1 0.000 0.000 0.000 [2 per cell]
Sr2 0.000 0.000 0.333 [4 per cell]
La1 0.000 0.000 0.167 [4 per cell]
La2 0.000 0.000 0.500 [2 per cell]
V1 0.000 0.500 0.583 [4 per cell]
V2 0.000 0.500 0.750 [2 per cell]
Fe1 0.000 0.500 0.083 [4 per cell]
Fe2 0.000 0.500 0.250 [2 per cell]
O1 0.000 0.500 0.167 [4 per cell]
O2 0.000 0.500 0.501 [4 per cell]
O3 0.000 0.500 0.667 [4 per cell]
O4 0.244 0.254 0.583 [16 per cell]
O5 0.245 0.255 0.750 [8 per cell]

#2
An optimized crystal structure of SrLaVFeO6. Source: the Materials Project, functional PBE+U.

a = 9.560 Å, b = 5.603 Å, c = 9.591 Å
α = 90.00°, β = 108.41°, γ = 90.00°
Space group Cc (No. 9)
Inequivalent atoms, fractional coordinates:
Sr1 0.000 0.250 0.000 [4 per cell]
La1 0.248 0.249 0.749 [4 per cell]
V1 0.125 0.250 0.375 [4 per cell]
Fe1 0.375 0.250 0.125 [4 per cell]
O1 0.002 0.001 0.251 [4 per cell]
+++

The next stage of evolution was the widespread use of APIs (application programming interfaces) to expose the functionality of each application. APIs can be complex in terms of the amount of functionality they expose, or they can be simple and self-contained. Keeping them simple and self-contained allows the APIs to be easily deployed, managed and scaled out in response to number of requests or other such parameters. This is what is commonly referred to as a microservices architecture.

**Unrelated to this page: data records:**
____________
Arrangement 1

A plane-wave DFT calculation with GGA+U was carried out for crystalline Mn2ZnO4 at its relaxed geometry.

Unit cell a=6.0879 b=10.3083 c=5.1762 alpha=90.00 beta=90.00 gamma=90.00
With the nearest neighbours (Å) after each atom.
Sites, in units of the cell vectors:
Mn  0.0000  0.0000  0.0000  4 O 1.97-1.99
Mn  0.0000  0.5000  0.0000  4 O 1.97-1.99
Mn  0.2500  0.0142  0.4869  2 O 1.87-1.98
Mn  0.2500  0.4858  0.4869  2 O 1.87-1.98
Mn  0.5000  0.0000  0.0000  4 O 1.97-1.99
Mn  0.5000  0.5000  0.0000  4 O 1.97-1.99
Mn  0.7500  0.5142  0.5131  2 O 1.87-1.98
Mn  0.7500  0.9858  0.5131  2 O 1.87-1.98
Zn  0.2500  0.2500  0.8357  6 O 2.21-2.23
Zn  0.2500  0.7500  0.5058  2 O 2.03
Zn  0.7500  0.2500  0.4942  2 O 2.03
Zn  0.7500  0.7500  0.1643  6 O 2.21-2.23
O  0.0015  0.1128  0.6880  3 Mn 1.99-2.21, 1 Zn 2.21
O  0.0015  0.3872  0.6880  3 Mn 1.99-2.21, 1 Zn 2.21
O  0.2500  0.0982  0.1424  3 Mn 1.97-1.98
O  0.2500  0.4018  0.1424  3 Mn 1.97-1.98
O  0.2500  0.6022  0.7648  1 Mn 1.87, 1 Zn 2.03
O  0.2500  0.8978  0.7648  1 Mn 1.87, 1 Zn 2.03
O  0.4985  0.1128  0.6880  3 Mn 1.99-2.21, 1 Zn 2.21
O  0.4985  0.3872  0.6880  3 Mn 1.99-2.21, 1 Zn 2.21
O  0.5015  0.6128  0.3120  3 Mn 1.99-2.21, 1 Zn 2.21
O  0.5015  0.8872  0.3120  3 Mn 1.99-2.21, 1 Zn 2.21
O  0.7500  0.1022  0.2352  1 Mn 1.87, 1 Zn 2.03
O  0.7500  0.3978  0.2352  1 Mn 1.87, 1 Zn 2.03
O  0.7500  0.5982  0.8576  3 Mn 1.97-1.98
O  0.7500  0.9018  0.8576  3 Mn 1.97-1.98
O  0.9985  0.6128  0.3120  3 Mn 1.99-2.21, 1 Zn 2.21
O  0.9985  0.8872  0.3120  3 Mn 1.99-2.21, 1 Zn 2.21

Calculated values
* symmetry: Pmmn, No. 59
* spin magnetization: 32.0 μB per cell

***

Arrangement 2

A plane-wave DFT calculation with GGA+U was carried out for crystalline Mn2ZnO4 at its relaxed geometry.

Unit cell a=6.1303 b=6.1303 c=6.1303 alpha=121.19 beta=121.07 gamma=88.06
With the nearest neighbours (Å) after each atom.
Sites, in units of the cell vectors:
Mn  0.0000  0.0000  0.5000  6 O 1.95-2.00
Mn  0.0000  0.5000  0.0000  6 O 1.95-2.00
Mn  0.3618  0.1118  0.2500  4 O 2.03-2.08
Mn  0.6382  0.8882  0.7500  4 O 2.03-2.08
Zn  0.0000  0.5000  0.5000  6 O 2.08-2.23
Zn  0.5000  0.5000  0.0000  6 O 2.08-2.23
O  0.2171  0.2481  0.9690  3 Mn 2.00-2.08, 1 Zn 2.23
O  0.2209  0.2369  0.5160  2 Mn 1.95-2.03, 2 Zn 2.08
O  0.2209  0.7049  0.9840  2 Mn 1.95-2.03, 2 Zn 2.08
O  0.2209  0.7519  0.4690  3 Mn 2.00-2.08, 1 Zn 2.23
O  0.7791  0.2481  0.5310  3 Mn 2.00-2.08, 1 Zn 2.23
O  0.7791  0.2951  0.0160  2 Mn 1.95-2.03, 2 Zn 2.08
O  0.7791  0.7631  0.4840  2 Mn 1.95-2.03, 2 Zn 2.08
O  0.7829  0.7519  0.0310  3 Mn 2.00-2.08, 1 Zn 2.23

Calculated values
* symmetry: Imma, No. 74
* spin magnetization: 16.0 μB per cell

***

Arrangement 3

A plane-wave DFT calculation with GGA+U was carried out for crystalline Mn2ZnO4 at its relaxed geometry.

Unit cell a=6.2411 b=6.2352 c=5.8036 alpha=62.33 beta=62.23 gamma=55.44
With the nearest neighbours (Å) after each atom.
Sites, in units of the cell vectors:
____________
**The page goes on:**

Microservices are a technology pattern that haves proven useful for rapid innovation and scale-up of business functionality. If the Enterprise Service Bus (ESB) is the Meccano™ platform, then microservices can be seen more as the Lego™. The idea is to build complex models from simpler components that are easy to create and combine in a repeatable manner. There are several platforms today that provide technology and features to support enterprise integration through microservices. One such platform is MuleSoft, recognized as a leader in APIs and integration. Persistent is proud to be a global partner of MuleSoft.

MuleSoft empowers organizations to innovate faster using this modern API-led approach. This helps us build solutions that deliver a single view of the customer, automate business processes, and build connected experiences quickly. We have successfully implemented solutions using MuleSoft at large banks, insurance companies, healthcare organizations, etc. Unlike the old world with expensive and time-consuming point-to-point integration, the MuleSoft approach is quick to implement and quick to realize meaningful ROI.  We also enable our customers to adopt MuleSoft’s Center of Enablement (C4E) approach, a cross-functional team designed to align technology and business strategy, allowing IT to become even more productive and deliver ROI through technology projects. If you have not already looked at MuleSoft, now may be a good time to explore how MuleSoft and its ecosystem of partner solutions can help you innovate faster and modernize to API-led integrations.

For more information on our platform integration practice.